• Work order:
Now type out the material further down without altering anything.

• Given:
/*
Entry 1:
Density functional theory data (PBE) for a relaxed structure of Pu2Be4SiGe3.

Calculated values
Uncorrected formation energy (meV per atom): -269

a = 4.0053 Å, b = 4.0053 Å, c = 9.4762 Å
α = 90.00°, β = 90.00°, γ = 90.00°
Site moments in Bohr magnetons follow the coordinates.
Atoms (fractional coordinates):
Be  0.0000  0.0000  0.0000  0.00
Pu  0.0000  0.5000  0.7458  5.27
Ge  0.5000  0.0000  0.8678  -0.07
Ge  0.0000  0.0000  0.5000  -0.03
Si  0.5000  0.5000  0.5000  -0.03
Be  0.0000  0.5000  0.3718  -0.01
Be  0.5000  0.5000  0.0000  0.00
Be  0.5000  0.0000  0.6282  -0.01
Pu  0.5000  0.0000  0.2542  5.27
Ge  0.0000  0.5000  0.1322  -0.07

***

Entry 2:
Density functional theory data (PBE) for a relaxed structure of Pu2Be3ZnGe4.

Calculated values
Calculated formation energy (eV per atom): -0.25

a = 4.0989 Å, b = 4.0989 Å, c = 9.7450 Å
α = 90.00°, β = 90.00°, γ = 90.00°
Site moments in Bohr magnetons follow the coordinates.
Atoms (fractional coordinates):
Pu  0.5000  0.0000  0.2386  5.31
Be  0.0000  0.5000  0.1238  -0.01
Zn  0.5000  0.5000  0.5000  0.01
Ge  0.0000  0.0000  0.0000  -0.04
Ge  0.5000  0.0000  0.6450  -0.07
Ge  0.0000  0.5000  0.3550  -0.07
Ge  0.5000  0.5000  0.0000  -0.04
Be  0.0000  0.0000  0.5000  0.01
Be  0.5000  0.0000  0.8762  -0.01
Pu  0.0000  0.5000  0.7614  5.31

***

Entry 3:
Density functional theory data (PBE) for a relaxed structure of RbBe3Ge.

Calculated values
Energy above the lowest structure with this stoichiometry (meV per atom): 1494.6
Calculated formation energy (eV per atom): 2.54

a = 5.2651 Å, b = 5.2651 Å, c = 5.2651 Å
α = 90.00°, β = 90.00°, γ = 90.00°
Atoms (fractional coordinates):
Be  0.5000  0.0000  0.0000
Be  0.0000  0.0000  0.5000
Ge  0.5000  0.5000  0.5000
Rb  0.0000  0.0000  0.0000
Be  0.0000  0.5000  0.0000

***

Entry 4:
Density functional theory data (PBE) for a relaxed structure of RbBeGe.

Calculated values
Energy above the lowest structure with this stoichiometry (meV per atom): 69.0
Calculated formation energy (eV per atom): 0.09

a = 4.1842 Å, b = 6.7888 Å, c = 6.8454 Å
α = 106.59°, β = 100.96°, γ = 101.47°
Atoms (fractional coordinates):
Be  0.7149  0.7754  0.7288
Ge  0.2411  0.7685  0.8297
Rb  0.5336  0.3331  0.9409
Be  0.2924  0.5479  0.4988
Rb  0.0032  0.9484  0.3278
Ge  0.7617  0.4466  0.4977

***

Entry 5:
Density functional theory data (PBE) for a relaxed structure of RbBeGe3.

Calculated values
Calculated formation energy (eV per atom): 0.43

a = 4.8136 Å, b = 4.8136 Å, c = 4.8136 Å
α = 90.00°, β = 90.00°, γ = 90.00°
Atoms (fractional coordinates):
Ge  0.0000  0.5000  0.0000
Rb  0.5000  0.5000  0.5000
Ge  0.0000  0.0000  0.5000
Ge  0.5000  0.0000  0.0000
Be  0.0000  0.0000  0.0000

***

Entry 6:
Density functional theory data (PBE) for a relaxed structure of RbBeGe.

Calculated values
Energy above the lowest structure with this stoichiometry (meV per atom): 0.0
Calculated formation energy (eV per atom): 0.02

a = 3.8612 Å, b = 4.2402 Å, c = 10.9866 Å
α = 93.65°, β = 90.53°, γ = 90.02°
Atoms (fractional coordinates):
Be  0.2503  0.6375  0.0067
Rb  0.2426  0.2778  0.7132
Ge  0.7478  0.8417  0.9071
Rb  0.7574  0.7222  0.2868
Ge  0.2522  0.1583  0.0929
Be  0.7497  0.3625  0.9933

***

Entry 7:
Density functional theory data (PBE) for a relaxed structure of Rb2BeGe.

Calculated values
Energy above the lowest structure with this stoichiometry (meV per atom): 663.2
Calculated formation energy (eV per atom): 0.87

a = 5.9982 Å, b = 5.9982 Å, c = 5.9982 Å
α = 60.00°, β = 60.00°, γ = 60.00°
Site moments in Bohr magnetons follow the coordinates.
Atoms (fractional coordinates):
Ge  0.5000  0.5000  0.5000  0.61
Rb  0.7500  0.7500  0.7500  0.03
Be  0.0000  0.0000  0.0000  0.04
Rb  0.2500  0.2500  0.2500  0.03

***

Entry 8:
Density functional theory data (PBE) for a relaxed structure of RbBe2Ge.

Calculated values
Calculated formation energy (eV per atom): 0.48

a = 5.2654 Å, b = 5.2654 Å, c = 7.9941 Å
α = 70.77°, β = 70.77°, γ = 90.00°
Atoms (fractional coordinates):
*/

• Outcome:
Entry 1:
Density functional theory data (PBE) for a relaxed structure of Pu2Be4SiGe3.

Calculated values
Uncorrected formation energy (meV per atom): -269

a = 4.0053 Å, b = 4.0053 Å, c = 9.4762 Å
α = 90.00°, β = 90.00°, γ = 90.00°
Site moments in Bohr magnetons follow the coordinates.
Atoms (fractional coordinates):
Be  0.0000  0.0000  0.0000  0.00
Pu  0.0000  0.5000  0.7458  5.27
Ge  0.5000  0.0000  0.8678  -0.07
Ge  0.0000  0.0000  0.5000  -0.03
Si  0.5000  0.5000  0.5000  -0.03
Be  0.0000  0.5000  0.3718  -0.01
Be  0.5000  0.5000  0.0000  0.00
Be  0.5000  0.0000  0.6282  -0.01
Pu  0.5000  0.0000  0.2542  5.27
Ge  0.0000  0.5000  0.1322  -0.07

***

Entry 2:
Density functional theory data (PBE) for a relaxed structure of Pu2Be3ZnGe4.

Calculated values
Calculated formation energy (eV per atom): -0.25

a = 4.0989 Å, b = 4.0989 Å, c = 9.7450 Å
α = 90.00°, β = 90.00°, γ = 90.00°
Site moments in Bohr magnetons follow the coordinates.
Atoms (fractional coordinates):
Pu  0.5000  0.0000  0.2386  5.31
Be  0.0000  0.5000  0.1238  -0.01
Zn  0.5000  0.5000  0.5000  0.01
Ge  0.0000  0.0000  0.0000  -0.04
Ge  0.5000  0.0000  0.6450  -0.07
Ge  0.0000  0.5000  0.3550  -0.07
Ge  0.5000  0.5000  0.0000  -0.04
Be  0.0000  0.0000  0.5000  0.01
Be  0.5000  0.0000  0.8762  -0.01
Pu  0.0000  0.5000  0.7614  5.31

***

Entry 3:
Density functional theory data (PBE) for a relaxed structure of RbBe3Ge.

Calculated values
Energy above the lowest structure with this stoichiometry (meV per atom): 1494.6
Calculated formation energy (eV per atom): 2.54

a = 5.2651 Å, b = 5.2651 Å, c = 5.2651 Å
α = 90.00°, β = 90.00°, γ = 90.00°
Atoms (fractional coordinates):
Be  0.5000  0.0000  0.0000
Be  0.0000  0.0000  0.5000
Ge  0.5000  0.5000  0.5000
Rb  0.0000  0.0000  0.0000
Be  0.0000  0.5000  0.0000

***

Entry 4:
Density functional theory data (PBE) for a relaxed structure of RbBeGe.

Calculated values
Energy above the lowest structure with this stoichiometry (meV per atom): 69.0
Calculated formation energy (eV per atom): 0.09

a = 4.1842 Å, b = 6.7888 Å, c = 6.8454 Å
α = 106.59°, β = 100.96°, γ = 101.47°
Atoms (fractional coordinates):
Be  0.7149  0.7754  0.7288
Ge  0.2411  0.7685  0.8297
Rb  0.5336  0.3331  0.9409
Be  0.2924  0.5479  0.4988
Rb  0.0032  0.9484  0.3278
Ge  0.7617  0.4466  0.4977

***

Entry 5:
Density functional theory data (PBE) for a relaxed structure of RbBeGe3.

Calculated values
Calculated formation energy (eV per atom): 0.43

a = 4.8136 Å, b = 4.8136 Å, c = 4.8136 Å
α = 90.00°, β = 90.00°, γ = 90.00°
Atoms (fractional coordinates):
Ge  0.0000  0.5000  0.0000
Rb  0.5000  0.5000  0.5000
Ge  0.0000  0.0000  0.5000
Ge  0.5000  0.0000  0.0000
Be  0.0000  0.0000  0.0000

***

Entry 6:
Density functional theory data (PBE) for a relaxed structure of RbBeGe.

Calculated values
Energy above the lowest structure with this stoichiometry (meV per atom): 0.0
Calculated formation energy (eV per atom): 0.02

a = 3.8612 Å, b = 4.2402 Å, c = 10.9866 Å
α = 93.65°, β = 90.53°, γ = 90.02°
Atoms (fractional coordinates):
Be  0.2503  0.6375  0.0067
Rb  0.2426  0.2778  0.7132
Ge  0.7478  0.8417  0.9071
Rb  0.7574  0.7222  0.2868
Ge  0.2522  0.1583  0.0929
Be  0.7497  0.3625  0.9933

***

Entry 7:
Density functional theory data (PBE) for a relaxed structure of Rb2BeGe.

Calculated values
Energy above the lowest structure with this stoichiometry (meV per atom): 663.2
Calculated formation energy (eV per atom): 0.87

a = 5.9982 Å, b = 5.9982 Å, c = 5.9982 Å
α = 60.00°, β = 60.00°, γ = 60.00°
Site moments in Bohr magnetons follow the coordinates.
Atoms (fractional coordinates):
Ge  0.5000  0.5000  0.5000  0.61
Rb  0.7500  0.7500  0.7500  0.03
Be  0.0000  0.0000  0.0000  0.04
Rb  0.2500  0.2500  0.2500  0.03

***

Entry 8:
Density functional theory data (PBE) for a relaxed structure of RbBe2Ge.

Calculated values
Calculated formation energy (eV per atom): 0.48

a = 5.2654 Å, b = 5.2654 Å, c = 7.9941 Å
α = 70.77°, β = 70.77°, γ = 90.00°
Atoms (fractional coordinates):